New topic: members' schemes of arrangement
Content updates
The newly published members' schemes of arrangement resources are:
- Practice note: overview, Members' schemes of arrangement. This note provides an overview of schemes of arrangement between a company and its members under Part 5.1 of the Corporations Act 2001 (Cth). It includes discussion of when a scheme of arrangement may be used to effect a control transaction, the requirements for a scheme of arrangement and the process of shareholder and court approval.
- Practice note: overview, Documents for a members' scheme of arrangement. This note provides an overview of the main documents involved for bidders and targets in planning and undertaking a scheme of arrangement.
- Checklist, Steps and timetable for a members' scheme of arrangement. A timeline and overview of the steps involved in a scheme of arrangement, from preliminary actions to be taken before the announcement of the intention to enter into the scheme of arrangement, to scheme implementation.
- A suite of standard form announcements that can be used by target companies listed on the Australian Securities Exchange (ASX) ( throughout the scheme process, as follows:
- ASX announcement: execution of scheme implementation deed, for use on the date of execution of a scheme implementation deed;
- ASX announcement: termination of scheme proposal, for use when a scheme implementation deed or proposal in relation to a scheme of arrangement is terminated;
- ASX announcement: court approval of scheme booklet and meeting for shareholders’ scheme of arrangement, for use following the court's approval of a draft scheme booklet and the convening of a members' meeting to approve a scheme of arrangement;
- ASX announcement: court orders approving a shareholders’ scheme of arrangement, for use on the date that a court makes orders approving a shareholders' scheme of arrangement;
********
{"formula": "C22H45BO9S3", "method": "ωB97M-V with the def2-TZVPD basis set", "elements": ["C", "C", "B", "C", "C", "C", "C", "C", "C", "C", "C", "C", "C", "C", "H", "H", "H", "H", "H", "H", "H", "H", "H", "H", "H", "H", "H", "H", "H", "H", "H", "H", "H", "H", "H", "C", "C", "O", "S", "C", "O", "O", "H", "H", "H", "H", "H", "H", "H", "H", "C", "C", "O", "S", "C", "O", "O", "H", "H", "H", "H", "H", "H", "H", "H", "C", "C", "O", "S", "C", "O", "O", "H", "H", "H", "H", "H", "H", "H", "H"], "positions_angstrom": [[-2.5823, -2.1529, -4.0892], [-2.6238, -0.6604, -3.3365], [-1.4053, 0.3064, -3.9649], [-1.2577, 1.8909, -3.5466], [0.2699, 2.5064, -3.7743], [1.1749, 2.0650, -2.4393], [2.7511, 1.7477, -2.8177], [1.1070, 3.3667, -1.4082], [-0.3618, -0.5004, -5.0016], [-0.7029, -0.6944, -6.5946], [0.3659, -1.5428, -7.5146], [1.7156, -2.1764, -6.7901], [2.0853, -1.9673, -5.1825], [1.0036, -1.1079, -4.2565], [-1.5755, -2.7393, -3.8601], [-3.4487, -2.8315, -3.6478], [-2.7994, -2.0282, -5.2323], [-3.6779, -0.1748, -3.5216], [-2.3530, -0.8060, -2.2055], [-2.0744, 2.5989, -4.0525], [-1.4531, 1.9848, -2.3735], [0.1986, 3.6975, -3.7997], [0.7658, 2.1548, -4.7807], [0.7062, 1.1271, -1.9027], [3.1175, 2.4087, -3.7395], [3.4186, 1.9612, -1.8801], [2.9378, 0.6234, -3.1417], [2.0099, 4.1007, -1.5867], [1.0171, 2.9744, -0.3080], [0.1273, 4.0069, -1.6385], [-1.6973, -0.2307, -7.0354], [0.1218, -1.7113, -8.6652], [2.4587, -2.8097, -7.4472], [3.0335, -2.4192, -4.6580], [1.1744, -0.9353, -3.0975], [0.5416, -0.3588, 5.5546], [0.8176, 0.9372, 4.8146], [1.6397, 0.7215, 3.6761], [0.9737, 0.0492, 2.3492], [2.3157, 0.3724, 1.2326], [-0.1665, 0.8440, 1.9410], [0.8832, -1.3803, 2.5471], [-0.0689, -1.0364, 4.9507], [0.0053, -0.1657, 6.4883], [1.4765, -0.8812, 5.7817], [-0.1149, 1.4372, 4.5301], [1.3598, 1.6191, 5.4784], [2.4205, 1.4510, 1.1042], [2.0770, -0.0979, 0.2758], [3.2287, -0.0631, 1.6423], [3.5385, -5.7164, -1.6452], [2.0597, -5.4256, -1.8233], [1.4282, -5.1584, -0.5789], [1.6773, -3.7108, 0.1271], [0.4105, -3.8402, 1.3643], [1.3072, -2.6638, -0.8030], [2.9621, -3.7312, 0.7903], [4.0763, -4.8302, -1.2960], [3.9886, -6.0311, -2.5912], [3.6910, -6.5025, -0.8986], [1.9001, -4.5987, -2.5242], [1.5708, -6.3083, -2.2492], [-0.5644, -3.8651, 0.8747], [0.4829, -2.9633, 2.0119], [0.5782, -4.7471, 1.9480], [-4.5873, 3.8706, 4.4459], [-4.4857, 4.5449, 5.8017], [-3.8615, 3.6997, 6.7580], [-2.2460, 3.4974, 6.6835], [-2.0440, 2.6996, 8.2567], [-1.6062, 4.7957, 6.7402], [-1.9445, 2.5363, 5.6461], [-3.5974, 3.7131, 4.0077], [-5.1687, 4.4830, 3.7507], [-5.0607, 2.8877, 4.5373], [-3.9589, 5.5030, 5.7291], [-5.4944, 4.7585, 6.1709], [-2.3061, 3.4028, 9.0491], [-0.9970, 2.4022, 8.3503], [-2.6847, 1.8167, 8.2899]], "forces_ev_per_angstrom": [[-0.92, -0.28, 1.00], [0.80, -0.82, -1.03], [-0.46, -0.63, -0.30], [0.67, 0.95, 0.59], [-0.25, 0.05, 0.53], [0.41, 1.11, -0.52], [-0.03, -0.18, -0.28], [-0.78, -0.21, -0.33], [2.46, -1.27, -1.49], [3.99, -1.83, 1.83], [0.36, 0.60, 4.25], [-2.01, 1.76, 1.88], [-4.42, 1.94, -1.38], [-0.43, -0.91, -4.71], [-2.08, 1.49, -0.79], [1.68, 1.40, -0.90], [0.72, -0.35, 2.19], [1.97, -0.88, 0.78], [-0.89, 0.38, -1.89], [1.64, -1.69, 0.91], [0.17, -0.18, -2.40], [0.30, -2.62, 0.04], [-1.08, 0.49, 2.01], [0.82, 1.83, -1.12], [-0.84, -1.25, 2.15], [-1.15, -0.33, -1.80], [-0.57, 2.34, 0.69], [-1.65, -1.64, 0.52], [0.45, 1.02, -1.98], [2.04, -1.50, 0.60], [2.39, -1.12, 0.97], [0.79, 0.31, 2.81], [-1.69, 1.47, 1.46], [-2.04, 0.93, -1.42], [-0.40, -0.49, -2.74], [-0.08, -0.33, -0.07], [-0.90, 0.06, 0.94], [0.14, -0.49, -1.51], [0.51, 1.12, 0.13], [0.09, 0.02, 0.13], [0.66, -1.05, 0.53], [-0.18, 1.57, 0.28], [0.04, 0.11, 0.10], [0.08, 0.07, -0.10], [-0.10, 0.12, 0.03], [0.21, -0.10, -0.07], [0.13, -0.04, -0.40], [-0.08, -0.14, 0.10], [-0.12, -0.06, 0.17], [-0.16, 0.01, -0.02], [0.31, 0.15, 0.13], [0.67, -0.21, -0.88], [-0.27, 0.91, 0.75], [-0.67, -0.63, 0.63], [-0.08, -0.44, -0.14], [0.73, -0.50, 0.34], [-0.67, 0.35, -0.83], [-0.08, -0.11, -0.06], [-0.13, -0.01, 0.06], [-0.06, 0.06, -0.16], [-0.06, 0.01, 0.17], [-0.17, 0.21, 0.31], [0.18, -0.06, -0.05], [0.04, -0.54, -0.49], [0.05, 0.03, -0.21], [0.22, -0.16, -0.24], [-0.49, 0.60, -0.99], [1.26, -0.49, 0.65], [-0.47, 0.20, 0.25], [-0.19, -0.01, 0.05], [-0.50, -1.11, -0.46], [-0.03, 0.91, 0.59], [-0.14, 0.04, 0.05], [0.01, -0.03, 0.15], [0.00, 0.18, 0.01], [0.07, -0.17, 0.11], [0.29, -0.17, 0.27], [0.01, -0.07, -0.18], [-0.12, 0.12, -0.17], [0.07, 0.14, -0.06]], "orbital_gap_ev": 8.51, "de_lowest_kcal_mol": 225.1, "energy_ha": -2761.38307, "lumo_ha": 0.015, "smiles": "CCB(CCC(C)C)c1ccccc1.CCOS(C)(=O)=O.CCOS(C)(=O)=O.CCOS(C)(=O)=O", "homo_energy_ev": -8.09}
********
The page goes on:
- ASX announcement: scheme of arrangement legally effective, for use to inform the market that the target has lodged with the Australian Securities and Investments Commission a copy of the court orders approving the company's entry into a shareholders' scheme of arrangement; and
- ASX announcement: implementation of scheme of arrangement, for use on the date of implementation of a scheme of arrangement.
Practical Law Corporate is preparing other key scheme documents, including a scheme implementation deed, scheme booklet and scheme of arrangement. These resources will be published to the members' schemes of arrangement topic shortly.